-- Activity --
What is needed: start at the top of the material further down and reproduce each line, ending with the one that has "-1.986 1.277".

-- Material --
____________
The following is a DFT calculation (wB97M-V/def2-TZVPD) of a single C5H11NO molecule at a distorted geometry.

Calculated values
SMILES string = CN1CC[C@@H](O)C1
total charge = 0
energy relative to the best compared isomer or geometry (same formula, charge and spin) = 185.4 kJ/mol
HOMO-LUMO gap = 9.2 eV

Last columns: bonded neighbours and bond lengths (Å).
Positions of all 18 atoms, in Å:
1 C -1.768 0.262 1.051  H6 1.144, H7 1.145, H8 1.101, N17 1.481
2 C 0.301 -1.109 0.752  C3 1.475, H9 1.136, H10 1.083, N17 1.480
3 C 1.220 -0.912 -0.384  C2 1.475, C4 1.516, H11 1.076, H12 1.116
4 C 0.746 0.402 -0.973  C3 1.516, C5 1.483, H13 1.076, O18 1.374
5 C 0.434 1.127 0.283  C4 1.483, H15 1.098, H16 1.092, N17 1.497
6 H -2.105 0.123 -0.034  C1 1.144
7 H -2.291 -0.574 1.632  C1 1.145
8 H -1.986 1.277 1.417  C1 1.101
9 H -0.530 -1.830 0.469  C2 1.136
10 H 0.887 -1.494 1.577  C2 1.083
11 H 2.264 -0.790 -0.154  C3 1.076
12 H 1.120 -1.699 -1.170  C3 1.116
13 H 1.481 0.868 -1.606  C4 1.076
14 H -0.416 -0.715 -2.073  O18 0.977
15 H 1.415 1.462 0.642  C5 1.098
16 H -0.092 2.073 0.137  C5 1.092
17 N -0.296 0.176 1.180  C1 1.481, C2 1.480, C5 1.497
18 O -0.409 0.181 -1.683  C4 1.374, H14 0.977
____________

-- Here it is --
The following is a DFT calculation (wB97M-V/def2-TZVPD) of a single C5H11NO molecule at a distorted geometry.

Calculated values
SMILES string = CN1CC[C@@H](O)C1
total charge = 0
energy relative to the best compared isomer or geometry (same formula, charge and spin) = 185.4 kJ/mol
HOMO-LUMO gap = 9.2 eV

Last columns: bonded neighbours and bond lengths (Å).
Positions of all 18 atoms, in Å:
1 C -1.768 0.262 1.051  H6 1.144, H7 1.145, H8 1.101, N17 1.481
2 C 0.301 -1.109 0.752  C3 1.475, H9 1.136, H10 1.083, N17 1.480
3 C 1.220 -0.912 -0.384  C2 1.475, C4 1.516, H11 1.076, H12 1.116
4 C 0.746 0.402 -0.973  C3 1.516, C5 1.483, H13 1.076, O18 1.374
5 C 0.434 1.127 0.283  C4 1.483, H15 1.098, H16 1.092, N17 1.497
6 H -2.105 0.123 -0.034  C1 1.144
7 H -2.291 -0.574 1.632  C1 1.145
8 H -1.986 1.277 1.417  C1 1.101